Entries.
/*
Entry 1:
A relaxed GdBO3 crystal. Source: the Materials Project database, functional PBE.

Geometry as CIF:
```
data_GdBO3
_chemical_formula_sum 'Gd3 B3 O9'
_cell_length_a 6.1293
_cell_length_b 6.1293
_cell_length_c 6.1293
_cell_angle_alpha 62.99
_cell_angle_beta 62.99
_cell_angle_gamma 62.99
_symmetry_space_group_name_H-M 'P 1'
_symmetry_Int_Tables_number 1
_symmetry_space_group_name_Hall 'P 1'
loop_
_atom_site_label
_atom_site_fract_x
_atom_site_fract_y
_atom_site_fract_z
Gd1 0.1682 0.5000 0.8318
Gd2 0.8318 0.1682 0.5000
Gd3 0.5000 0.8318 0.1682
B1 0.7574 0.2426 0.0000
B2 0.0000 0.7574 0.2426
B3 0.2426 0.0000 0.7574
O1 0.2690 0.9134 0.5586
O2 0.9134 0.5586 0.2690
O3 0.5586 0.2690 0.9134
O4 0.4414 0.0866 0.7310
O5 0.0866 0.7310 0.4414
O6 0.7310 0.4414 0.0866
O7 0.0000 0.2235 0.7765
O8 0.2235 0.7765 0.0000
O9 0.7765 0.0000 0.2235
```

Properties
Total magnetic moment: 7.000 μB per formula unit

Entry 2:
A relaxed RbSmSe2 crystal. Source: the Materials Project database, functional PBE.

Geometry as CIF:
```
data_RbSmSe2
_chemical_formula_sum 'Rb1 Sm1 Se2'
_cell_length_a 4.3309
_cell_length_b 4.3309
_cell_length_c 8.3984
_cell_angle_alpha 75.06
_cell_angle_beta 75.06
_cell_angle_gamma 60.00
_symmetry_space_group_name_H-M 'P 1'
_symmetry_Int_Tables_number 1
_symmetry_space_group_name_Hall 'P 1'
loop_
_atom_site_label
_atom_site_fract_x
_atom_site_fract_y
_atom_site_fract_z
Rb1 0.0000 0.0000 0.0000
Sm1 0.5000 0.5000 0.5000
Se1 0.2330 0.2330 0.3011
Se2 0.7670 0.7670 0.6989
```

Entry 3:
A relaxed Sr22Nb10O47 crystal. Source: the Materials Project database, functional PBE.

Geometry as CIF:
```
data_Sr22Nb10O47
_chemical_formula_sum 'Sr22 Nb10 O47'
_cell_length_a 5.9611
_cell_length_b 6.0198
_cell_length_c 40.0478
_cell_angle_alpha 90.09
_cell_angle_beta 90.12
_cell_angle_gamma 118.31
_symmetry_space_group_name_H-M 'P 1'
_symmetry_Int_Tables_number 1
_symmetry_space_group_name_Hall 'P 1'
loop_
_atom_site_label
_atom_site_fract_x
_atom_site_fract_y
_atom_site_fract_z
Sr1 0.4346 0.7739 0.0366
Sr2 0.7480 0.4155 0.1375
Sr3 0.7569 0.3987 0.0509
Sr4 0.0722 0.0739 0.0977
Sr5 0.0828 0.9385 0.2756
Sr6 0.0786 0.0561 0.1846
Sr7 0.4313 0.7352 0.2062
Sr8 0.5149 0.5689 0.4132
Sr9 0.8065 0.1850 0.3482
Sr10 0.8804 0.2658 0.5184
Sr11 0.8565 0.2293 0.4343
Sr12 0.2036 0.9138 0.4763
Sr13 0.2174 0.8120 0.6532
Sr14 0.2097 0.9080 0.5628
Sr15 0.6617 0.4193 0.7905
Sr16 0.5684 0.5973 0.5846
Sr17 0.9334 0.0547 0.7255
Sr18 0.0134 0.1066 0.8992
Sr19 0.9878 0.0852 0.8126
Sr20 0.3376 0.7647 0.8564
Sr21 0.3253 0.7339 0.9441
Sr22 0.6502 0.4054 0.9592
Nb1 0.0421 0.0074 0.9965
Nb2 0.4120 0.7384 0.1190
Nb3 0.7517 0.3618 0.2367
Nb4 0.4561 0.5426 0.3164
Nb5 0.1572 0.8678 0.3721
Nb6 0.5417 0.5835 0.4977
Nb7 0.8861 0.2287 0.6151
Nb8 0.5893 0.4172 0.6942
Nb9 0.2828 0.7366 0.7490
Nb10 0.6721 0.4325 0.8751
O1 0.6453 0.6571 0.0884
O2 0.4154 0.1513 0.0080
O3 0.1168 0.5173 0.0876
O4 0.8195 0.0781 0.2313
O5 0.9345 0.0944 0.0362
O6 0.4799 0.0414 0.0870
O7 0.7182 0.9776 0.1461
O8 0.3309 0.4359 0.1479
O9 0.3837 0.1152 0.2288
O10 0.4109 0.8273 0.3302
O11 0.7673 0.5487 0.1979
O12 0.1788 0.8177 0.1454
O13 0.1007 0.5863 0.2480
O14 0.1273 0.3307 0.3037
O15 0.9224 0.8260 0.3344
O16 0.7889 0.5177 0.4690
O17 0.4530 0.3477 0.3530
O18 0.6402 0.5098 0.2772
O19 0.4702 0.0391 0.3980
O20 0.2494 0.3427 0.4655
O21 0.0614 0.5388 0.3877
O22 0.9589 0.9481 0.6095
O23 0.5892 0.8648 0.4660
O24 0.9496 0.9517 0.3996
O25 0.8401 0.8262 0.5259
O26 0.4603 0.2789 0.5266
O27 0.5207 0.9791 0.6065
O28 0.5320 0.6978 0.7082
O29 0.8986 0.4166 0.5767
O30 0.3021 0.6590 0.5238
O31 0.2339 0.4572 0.6262
O32 0.2601 0.2033 0.6817
O33 0.0393 0.6902 0.7110
O34 0.9196 0.3752 0.8463
O35 0.7671 0.3749 0.6549
O36 0.5817 0.2199 0.7307
O37 0.5887 0.9101 0.7762
O38 0.1659 0.4083 0.7660
O39 0.3788 0.1907 0.8446
*/

Activity.
It remains to duplicate all of the data further above unchanged.

Worked solution.
Entry 1:
A relaxed GdBO3 crystal. Source: the Materials Project database, functional PBE.

Geometry as CIF:
```
data_GdBO3
_chemical_formula_sum 'Gd3 B3 O9'
_cell_length_a 6.1293
_cell_length_b 6.1293
_cell_length_c 6.1293
_cell_angle_alpha 62.99
_cell_angle_beta 62.99
_cell_angle_gamma 62.99
_symmetry_space_group_name_H-M 'P 1'
_symmetry_Int_Tables_number 1
_symmetry_space_group_name_Hall 'P 1'
loop_
_atom_site_label
_atom_site_fract_x
_atom_site_fract_y
_atom_site_fract_z
Gd1 0.1682 0.5000 0.8318
Gd2 0.8318 0.1682 0.5000
Gd3 0.5000 0.8318 0.1682
B1 0.7574 0.2426 0.0000
B2 0.0000 0.7574 0.2426
B3 0.2426 0.0000 0.7574
O1 0.2690 0.9134 0.5586
O2 0.9134 0.5586 0.2690
O3 0.5586 0.2690 0.9134
O4 0.4414 0.0866 0.7310
O5 0.0866 0.7310 0.4414
O6 0.7310 0.4414 0.0866
O7 0.0000 0.2235 0.7765
O8 0.2235 0.7765 0.0000
O9 0.7765 0.0000 0.2235
```

Properties
Total magnetic moment: 7.000 μB per formula unit

Entry 2:
A relaxed RbSmSe2 crystal. Source: the Materials Project database, functional PBE.

Geometry as CIF:
```
data_RbSmSe2
_chemical_formula_sum 'Rb1 Sm1 Se2'
_cell_length_a 4.3309
_cell_length_b 4.3309
_cell_length_c 8.3984
_cell_angle_alpha 75.06
_cell_angle_beta 75.06
_cell_angle_gamma 60.00
_symmetry_space_group_name_H-M 'P 1'
_symmetry_Int_Tables_number 1
_symmetry_space_group_name_Hall 'P 1'
loop_
_atom_site_label
_atom_site_fract_x
_atom_site_fract_y
_atom_site_fract_z
Rb1 0.0000 0.0000 0.0000
Sm1 0.5000 0.5000 0.5000
Se1 0.2330 0.2330 0.3011
Se2 0.7670 0.7670 0.6989
```

Entry 3:
A relaxed Sr22Nb10O47 crystal. Source: the Materials Project database, functional PBE.

Geometry as CIF:
```
data_Sr22Nb10O47
_chemical_formula_sum 'Sr22 Nb10 O47'
_cell_length_a 5.9611
_cell_length_b 6.0198
_cell_length_c 40.0478
_cell_angle_alpha 90.09
_cell_angle_beta 90.12
_cell_angle_gamma 118.31
_symmetry_space_group_name_H-M 'P 1'
_symmetry_Int_Tables_number 1
_symmetry_space_group_name_Hall 'P 1'
loop_
_atom_site_label
_atom_site_fract_x
_atom_site_fract_y
_atom_site_fract_z
Sr1 0.4346 0.7739 0.0366
Sr2 0.7480 0.4155 0.1375
Sr3 0.7569 0.3987 0.0509
Sr4 0.0722 0.0739 0.0977
Sr5 0.0828 0.9385 0.2756
Sr6 0.0786 0.0561 0.1846
Sr7 0.4313 0.7352 0.2062
Sr8 0.5149 0.5689 0.4132
Sr9 0.8065 0.1850 0.3482
Sr10 0.8804 0.2658 0.5184
Sr11 0.8565 0.2293 0.4343
Sr12 0.2036 0.9138 0.4763
Sr13 0.2174 0.8120 0.6532
Sr14 0.2097 0.9080 0.5628
Sr15 0.6617 0.4193 0.7905
Sr16 0.5684 0.5973 0.5846
Sr17 0.9334 0.0547 0.7255
Sr18 0.0134 0.1066 0.8992
Sr19 0.9878 0.0852 0.8126
Sr20 0.3376 0.7647 0.8564
Sr21 0.3253 0.7339 0.9441
Sr22 0.6502 0.4054 0.9592
Nb1 0.0421 0.0074 0.9965
Nb2 0.4120 0.7384 0.1190
Nb3 0.7517 0.3618 0.2367
Nb4 0.4561 0.5426 0.3164
Nb5 0.1572 0.8678 0.3721
Nb6 0.5417 0.5835 0.4977
Nb7 0.8861 0.2287 0.6151
Nb8 0.5893 0.4172 0.6942
Nb9 0.2828 0.7366 0.7490
Nb10 0.6721 0.4325 0.8751
O1 0.6453 0.6571 0.0884
O2 0.4154 0.1513 0.0080
O3 0.1168 0.5173 0.0876
O4 0.8195 0.0781 0.2313
O5 0.9345 0.0944 0.0362
O6 0.4799 0.0414 0.0870
O7 0.7182 0.9776 0.1461
O8 0.3309 0.4359 0.1479
O9 0.3837 0.1152 0.2288
O10 0.4109 0.8273 0.3302
O11 0.7673 0.5487 0.1979
O12 0.1788 0.8177 0.1454
O13 0.1007 0.5863 0.2480
O14 0.1273 0.3307 0.3037
O15 0.9224 0.8260 0.3344
O16 0.7889 0.5177 0.4690
O17 0.4530 0.3477 0.3530
O18 0.6402 0.5098 0.2772
O19 0.4702 0.0391 0.3980
O20 0.2494 0.3427 0.4655
O21 0.0614 0.5388 0.3877
O22 0.9589 0.9481 0.6095
O23 0.5892 0.8648 0.4660
O24 0.9496 0.9517 0.3996
O25 0.8401 0.8262 0.5259
O26 0.4603 0.2789 0.5266
O27 0.5207 0.9791 0.6065
O28 0.5320 0.6978 0.7082
O29 0.8986 0.4166 0.5767
O30 0.3021 0.6590 0.5238
O31 0.2339 0.4572 0.6262
O32 0.2601 0.2033 0.6817
O33 0.0393 0.6902 0.7110
O34 0.9196 0.3752 0.8463
O35 0.7671 0.3749 0.6549
O36 0.5817 0.2199 0.7307
O37 0.5887 0.9101 0.7762
O38 0.1659 0.4083 0.7660
O39 0.3788 0.1907 0.8446